### Input
********
[1]
The following is a computed X-ray powder pattern of GdCdHg2. It was derived from a structure optimized by DFT (PBE), using a wavelength of 1.5418 Å.
Intensities are scaled so that the largest is 100.

Structural model:
```
4
Lattice="0.000 3.638 3.638 3.638 0.000 3.638 3.638 3.638 0.000" Properties=species:S:1:pos:R:3 pbc="T T T"
Gd 0.000 0.000 0.000
Cd 3.638 3.638 3.638
Hg 1.819 1.819 1.819
Hg 5.457 5.457 5.457
```

The 9 most intense peaks (2θ from 10° to 80°), low angle first:
two_theta, I/Imax
21.1, 0.8
24.5, 4.4
34.9, 100.0
43.1, 1.5
50.2, 18.0
56.6, 2.1
62.5, 37.0
73.6, 11.5
78.9, 1.1

***

[2]
The following is a computed X-ray powder pattern of LiSi3BiO8. It was derived from a structure optimized by DFT (PBE), using a wavelength of 1.5418 Å.
Intensities are scaled so that the largest is 100.

Structural model:
```
52
Lattice="4.274 -6.465 0.000 4.274 6.465 0.000 -2.613 0.000 12.691" Properties=species:S:1:pos:R:3 pbc="T T T"
Li 2.967 5.607 6.346
Li 4.288 1.785 3.807
Li 2.981 -1.785 10.152
Li 4.274 -5.607 0.000
Si 1.378 1.114 2.885
Si 4.466 4.765 3.622
Si 2.964 4.623 12.083
Si 0.071 -1.114 9.231
Si 2.956 1.106 6.662
Si 2.919 1.527 12.165
Si 4.263 -1.106 0.316
Si 4.445 0.721 9.473
Si 4.225 -1.527 5.819
Si 5.752 -0.721 3.127
Si 3.160 -4.765 9.968
Si 4.270 -4.623 5.737
Bi 2.303 2.977 0.500
Bi 1.421 3.854 8.752
Bi 0.996 -2.977 6.845
Bi 2.728 -3.854 2.406
O 0.537 1.787 4.165
O 2.863 4.888 3.211
O -0.993 1.665 11.608
O 1.760 5.529 12.522
O -0.261 0.477 9.301
O 1.398 1.697 6.686
O 1.045 -0.477 2.955
O 3.616 4.607 7.913
O 2.909 1.476 2.659
O 0.314 -1.665 5.262
O -0.770 -1.787 10.510
O 2.290 3.051 12.130
O 5.013 3.389 2.967
O 3.908 2.037 5.730
O 2.705 -1.697 0.340
O 1.696 0.490 12.571
O 1.602 -1.476 9.005
O 3.612 1.289 8.166
O 3.002 -0.490 6.226
O 3.446 1.113 10.698
O 6.761 1.565 0.519
O 5.992 0.872 3.186
O 4.918 -1.289 1.820
O 4.752 -1.113 4.352
O 2.602 -2.037 12.076
O 1.557 -4.888 9.557
O 3.597 -3.051 5.784
O 4.685 -0.872 9.531
O 3.706 -3.389 9.312
O 5.454 -1.565 6.865
O 3.066 -5.529 6.176
O 4.922 -4.607 1.567
```

The 12 most intense peaks (2θ from 10° to 80°), low angle first:
two_theta, I/Imax
13.7, 85.6
14.0, 38.8
15.4, 100.0
19.6, 38.6
23.0, 37.2
24.9, 33.7
25.1, 35.7
25.3, 35.4
26.4, 85.1
26.8, 82.1
30.0, 51.3
35.0, 46.4

~~~~~

Record 1
The following is a theoretical powder X-ray diffraction pattern of Rb2Sn7Pd12. It was derived from a crystal structure in Alexandria, relaxed with PBE, using λ = 1.5418 Å (Cu Kα).
Kinematic intensities with the Lorentz-polarization factor, no thermal factor.

a b c (Å): 10.938 10.938 4.218
angles (deg): 90.00 90.00 120.00
Element x y z (fractional)
Rb 0.333 0.667 0.245
Rb 0.667 0.333 0.755
Sn 0.000 0.000 0.500
Sn 0.110 0.710 0.741
Sn 0.290 0.399 0.741
Sn 0.399 0.110 0.259
Sn 0.601 0.890 0.741
Sn 0.710 0.601 0.259
Sn 0.890 0.290 0.259
Pd 0.056 0.434 0.753
Pd 0.119 0.256 0.236
Pd 0.138 0.881 0.236
Pd 0.256 0.138 0.764
Pd 0.379 0.944 0.753
Pd 0.434 0.379 0.247
Pd 0.566 0.621 0.753
Pd 0.621 0.056 0.247
Pd 0.744 0.862 0.236
Pd 0.862 0.119 0.764
Pd 0.881 0.744 0.764
Pd 0.944 0.566 0.247

The 10 most intense peaks (10 to 90 degrees two-theta), low angle first:
| d/Å | 2theta | intensity |
| --- | --- | --- |
| 5.469 | 16.21 | 14.6 |
| 2.730 | 32.81 | 100.0 |
| 2.528 | 35.51 | 17.7 |
| 2.230 | 40.45 | 40.8 |
| 2.173 | 41.55 | 16.4 |
| 2.109 | 42.88 | 23.4 |
| 2.066 | 43.81 | 46.3 |
| 1.932 | 47.04 | 12.9 |
| 1.476 | 62.96 | 13.7 |
| 1.289 | 73.49 | 17.0 |

=====

Record 2
The following is a theoretical powder X-ray diffraction pattern of Rb4Sn5Pd. It was derived from a crystal structure in Alexandria, relaxed with PBE, using λ = 1.5418 Å (Cu Kα).
Kinematic intensities with the Lorentz-polarization factor, no thermal factor.

a b c (Å): 8.420 8.420 8.420
angles (deg): 99.19 99.19 132.90
Element x y z (fractional)
Rb 0.000 0.296 0.296
Rb 0.000 0.704 0.704
Rb 0.296 0.000 0.296
Rb 0.704 0.000 0.704
Sn 0.204 0.204 0.000
Sn 0.382 0.382 0.719
Sn 0.382 0.663 0.000
Sn 0.663 0.382 0.000
********

### Job
Give back every line above that contains the word "Rb".

### Worked solution
Rb 0.333 0.667 0.245
Rb 0.667 0.333 0.755
Rb 0.000 0.296 0.296
Rb 0.000 0.704 0.704
Rb 0.296 0.000 0.296
Rb 0.704 0.000 0.704